It remains to filter the rows below: keep the lines with the word "eV".

____________
[1]
NaSmPO | PBE | optimized geometry

ΔE to the lowest computed polymorph	105.2	meV per atom
space-group type	Pmc2_1 (26)
total moment	0.003	μB/cell

POSCAR file:
```
NaSmPO
1.0
-1.060 3.508 0.552
-6.458 -1.236 -4.547
-3.070 -1.685 4.818
Na O P Sm
2 2 2 2
Cartesian
-2.749 -0.552 -1.772
-5.387 -1.605 -0.140
-3.321 -1.064 0.388
-7.070 -2.331 1.238
-7.200 0.023 -1.531
-4.394 0.011 3.934
-3.046 0.805 1.476
-8.621 -0.811 1.041
```

[2]
YAsOs2 | PBE | optimized geometry

space-group type	F-43m (216)
total moment	0.009	μB/cell
uncorrected energy	-7.9706	eV/atom

POSCAR file:
```
YAsOs2
1.0
0.000 3.272 3.272
3.272 0.000 3.272
3.272 3.272 0.000
As Os Y
1 2 1
Cartesian
3.272 3.272 3.272
0.000 0.000 0.000
4.907 4.907 4.907
1.636 1.636 1.636
```

[3]
ErPuRe | PBE | optimized geometry

ΔH_f (0 K)	0.99	eV/atom
space-group type	F-43m (216)
total moment	5.293	μB/cell

POSCAR file:
```
ErPuRe
1.0
-2.018 -3.500 2.110
-2.719 0.757 3.579
-4.501 -0.606 -0.388
Er Pu Re
1 1 1
Cartesian
-2.309 -0.837 1.325
0.000 0.000 0.000
-6.928 -2.512 3.975
```

[4]
InNi15 | PBE | optimized geometry

ΔE to the lowest computed polymorph	31.9	meV per atom
space-group type	P2_1/m (11)
total moment	17.228	μB/cell

POSCAR file:
```
InNi15
1.0
-3.722 -3.346 0.183
1.142 -1.162 1.969
-19.861 23.483 25.374
In Ni
2 30
Cartesian
-6.561 0.980 4.382
-16.452 18.578 22.161
-4.997 3.004 4.670
-6.195 2.555 6.758
-4.312 4.247 6.665
-8.535 3.313 6.903
-6.674 4.987 6.812
-6.026 6.247 8.839
-7.884 4.577 8.931
-10.233 5.321 9.072
-8.374 6.997 8.984
-7.712 8.245 10.996
-9.574 6.572 11.088
-11.927 7.324 11.236
-10.066 8.997 11.145
-11.263 8.570 13.246
-9.402 10.243 13.155
-11.746 10.983 13.291
-13.607 9.310 13.383
-12.950 10.564 15.401
-11.089 12.237 15.310
-13.435 12.980 15.449
-15.296 11.307 15.541
-14.639 12.561 17.558
-12.780 14.237 17.470
-16.988 13.311 17.704
-15.130 14.981 17.613
-16.338 14.569 19.729
-14.478 16.244 19.639
-18.699 15.310 19.876
-16.818 17.001 19.784
-18.016 16.554 21.873
```

[5]
Sr4TlHg | PBE | optimized geometry

space-group type	P4/mmm (123)
uncorrected energy	-1.9087	eV/atom

POSCAR file:
```
Sr4TlHg
1.0
-2.914 0.693 -2.745
-1.450 -3.748 0.593
-8.577 4.958 10.354
Hg Sr Tl
1 4 1
Cartesian
0.000 0.000 0.000
-3.316 -0.872 0.293
-3.098 1.791 3.740
-5.479 3.167 6.614
-9.625 2.774 7.909
-6.470 0.951 4.101
```

[6]
Nd3Cd3Ga2Au | PBE | optimized geometry

ΔE to the lowest computed polymorph	6.5	meV per atom
space-group type	P-62m (189)
total moment	0.005	μB/cell

POSCAR file:
```
Nd3Cd3Ga2Au
1.0
7.635 0.000 0.000
-3.818 6.612 0.000
0.000 0.000 4.294
Au Cd Ga Nd
1 3 2 3
Cartesian
0.000 0.000 0.000
1.940 0.000 2.147
-0.970 1.680 2.147
2.848 4.932 2.147
3.818 2.204 2.147
0.000 4.408 2.147
4.501 0.000 0.000
1.567 2.714 0.000
-2.250 3.898 0.000
```

[7]
SrCdSeO | PBE | optimized geometry

space-group type	P2_12_12_1 (19)
uncorrected energy	-4.3041	eV/atom

POSCAR file:
```
SrCdSeO
1.0
7.697 0.000 0.000
0.000 6.886 0.000
0.000 0.000 6.917
Cd O Se Sr
4 4 4 4
Cartesian
4.728 2.528 0.862
2.969 5.970 2.597
6.818 4.358 4.320
0.880 0.915 6.055
3.137 4.021 1.589
4.561 0.578 1.869
0.712 2.865 5.048
6.985 6.308 5.327
0.714 0.190 1.652
6.983 3.633 1.807
3.134 6.695 5.110
4.563 3.253 5.265
5.460 5.892 0.238
2.238 2.449 3.220
6.086 0.994 3.696
1.611 4.437 6.679
```

[8]
LiHfGaPd | PBE | optimized geometry

ΔE to the lowest computed polymorph	0.3	meV per atom
space-group type	F-43m (216)
total moment	0.001	μB/cell

POSCAR file:
```
LiHfGaPd
1.0
-1.518 -1.438 3.928
-0.101 2.758 3.491
-3.899 1.479 1.555
Ga Hf Li Pd
1 1 1 1
Cartesian
-2.759 1.400 4.487
0.000 0.000 0.000
-4.139 2.099 6.730
-1.380 0.700 2.243
```

[9]
LiThHg | PBE | optimized geometry

ΔE to the lowest computed polymorph	0.0	meV per atom
space-group type	F-43m (216)
total moment	0.001	μB/cell

POSCAR file:
```
LiThHg
1.0
0.000 3.489 3.489
3.489 0.000 3.489
3.489 3.489 0.000
Hg Li Th
1 1 1
Cartesian
0.000 0.000 0.000
1.744 1.744 1.744
5.233 5.233 5.233
```

[10]
SmPdO3 | PBE | optimized geometry

space-group type	P4mm (99)
____________

uncorrected energy	-7.9706	eV/atom
ΔH_f (0 K)	0.99	eV/atom
uncorrected energy	-1.9087	eV/atom
uncorrected energy	-4.3041	eV/atom